One of the most significant decisions when expecting a baby is choosing their name. Parents often select names with personal significance, perhaps honouring a loved one or embodying a deeper meaning.
While many names suit their children perfectly, some parents opt for more unconventional choices. But how far can one go with this? This question arose when one Reddit user discovered their brother-in-law’s unusual name choice for their unborn daughter.
~~~
(1)
VASP calculation (SCAN) on a crystal of KSe2Br relaxed with PBEsol.

## Properties
Energy above the most stable polymorph in this dataset = 255 kJ/mol of formula units
DFT total energy = -67.4 eV for the cell shown
Formation energy (no corrections) = 14 kJ per mole of atoms
Space group = No. 166
Total magnetic moment = 0.00 μB/f.u.

a = 3.0441 Å, b = 3.0441 Å, c = 12.8250 Å
α = 83.18°, β = 83.18°, γ = 60.00°
Fractional coordinates of all 4 atoms:
Br (0.5000, 0.5000, 0.5000)
K (0.0000, 0.0000, 0.0000)
Se (0.2633, 0.2633, 0.2100)
Se (0.7367, 0.7367, 0.7900)

(2)
VASP calculation (SCAN) on a crystal of Y2FeRu relaxed with PBEsol.

## Properties
DFT total energy = -108.7 eV for the cell shown
Formation enthalpy at 0 K = -0.009 eV per atom
Space group = No. 99
Total magnetic moment = 3.21 μB/f.u.

a = 3.1924 Å, b = 3.1924 Å, c = 8.0429 Å
α = 90.00°, β = 90.00°, γ = 90.00°
Fractional coordinates of all 4 atoms:
Fe (0.0000, 0.0000, 0.5529)
Ru (0.5000, 0.5000, 0.7019)
Y (0.0000, 0.0000, 0.9283)
Y (0.5000, 0.5000, 0.3169)

(3)
VASP calculation (SCAN) on a crystal of TaRhAu2 relaxed with PBEsol.

## Properties
Energy above the most stable polymorph in this dataset = 0 kJ/mol of formula units
DFT total energy = -239.8 eV for the cell shown
Formation enthalpy at 0 K = -0.295 eV per atom
Space group = No. 119
Total magnetic moment = 0.00 μB/f.u.

a = 3.9621 Å, b = 3.9617 Å, c = 4.9018 Å
α = 113.85°, β = 113.85°, γ = 89.95°
Fractional coordinates of all 4 atoms:
Au (0.0000, 0.0000, 0.0001)
Au (0.7500, 0.2500, 0.5000)
Rh (0.4999, 0.5000, 0.9999)
Ta (0.2500, 0.7500, 0.5000)

(4)
VASP calculation (SCAN) on a crystal of Sc5Mn relaxed with PBEsol.

## Properties
Energy above the most stable polymorph in this dataset = 0 kJ/mol of formula units
DFT total energy = -89.6 eV for the cell shown
Formation enthalpy at 0 K = -0.021 eV per atom
Space group = No. 189
Total magnetic moment = 0.43 μB/f.u.

a = 4.8480 Å, b = 5.4861 Å, c = 5.4861 Å
α = 120.00°, β = 90.00°, γ = 90.00°
Fractional coordinates of all 6 atoms:
Mn (0.5000, 0.0000, 0.0000)
Sc (0.0000, 0.3115, 0.3115)
Sc (0.0000, 0.6885, 0.0000)
Sc (0.0000, 0.0000, 0.6885)
Sc (0.5000, 0.3333, 0.6667)
Sc (0.5000, 0.6667, 0.3333)

(5)
VASP calculation (SCAN) on a crystal of KNi3Os relaxed with PBEsol.

## Properties
DFT total energy = -115.4 eV for the cell shown
Formation enthalpy at 0 K = 2.669 eV per atom
Space group = No. 221
Total magnetic moment = 3.66 μB/f.u.

a = 4.2128 Å, b = 4.2128 Å, c = 4.2128 Å
α = 90.00°, β = 90.00°, γ = 90.00°
Fractional coordinates of all 5 atoms:
Ni (0.0000, 0.5000, 0.0000)
Ni (0.0000, 0.0000, 0.5000)
Ni (0.5000, 0.0000, 0.0000)
K (0.0000, 0.0000, 0.0000)
Os (0.5000, 0.5000, 0.5000)

(6)
VASP calculation (SCAN) on a crystal of ZrMoCl3 relaxed with PBEsol.

## Properties
DFT total energy = -91.2 eV for the cell shown
Formation energy (no corrections) = -32 kJ per mole of atoms
Space group = No. 221
Total magnetic moment = 5.36 μB/f.u.

a = 4.9714 Å, b = 4.9714 Å, c = 4.9714 Å
~~~
The concerned aunt or uncle-to-be revealed that their sister and brother-in-law were due to welcome their baby girl in four weeks, and she was increasingly worried about the potential oddity of the baby’s name.
She took to a name-discussion forum on Reddit to share that her brother-in-law was adamant about naming their daughter after the ADHD medication he credits with having saved his life.
“Vyvanse. He wants to name her Vyvanse,” the Reddit user disclosed. Vyvanse is the brand name for Lisdexamfetamine, a stimulant used to treat attention deficit hyperactivity disorder (ADHD) in adults and children.
The Reddit user further explained that their sister had tried to dissuade her husband from this choice, suggesting they consider other names. She even enlisted his mother’s help to persuade him to choose a different name, arguing that ‘Vyvanse’ could be seen as ‘indecent’.
Despite impending fatherhood, one dad-to-be is unwavering in his decision to name his soon-to-arrive daughter Vyvanse, even as he faces just weeks until her birth. He appears immune to outside opinions on the matter.
This unconventional choice of name sparked a spirited discussion on Reddit, with the majority concurring with the original poster that it was an ill-fitting moniker for a child.
“Say to call her Vivienne or something bc wtf,” suggested one commenter, while another proposed a compromise: “Vy as first name Vance as the middle name. Everyone is happy.”
A third added humor to the mix, quipping: “Vyvanse should just be a nickname. The name on her birth certificate should be Lisdexamfetamine.”
-- Inserted here: records of crystals --
DFT (PBE+U) results for a relaxed structure of CsMgCr2F8.

POSCAR file:
```
CsMgCr2F8
1.0
5.481 0.000 0.000
-2.740 4.747 0.000
0.000 0.000 7.706
Cs Mg Cr F
1 1 2 8
Direct
0.000 0.000 0.000
0.000 0.000 0.500
0.667 0.333 0.399
0.333 0.667 0.601
0.333 0.667 0.845
0.295 0.346 0.380
0.654 0.949 0.380
0.667 0.333 0.155
0.346 0.051 0.620
0.705 0.654 0.620
0.949 0.295 0.620
0.051 0.705 0.380
```

Output
As for the space group: P-3 (147). The calculation puts the size of the total moment at 7.000 μB/f.u. Its volume is 16.7 A^3/atom. Its total energy is -5.383 eV/atom.

~~~~~

Entry i
Here is crystalline HfSbH at its relaxed geometry from Alexandria via LeMat-Bulk. Energies are from PBE.

a b c (Å): 17.959 3.600 6.724
angles (deg): 90.00 100.67 90.00
Space group C2/m (No. 12)
One atom of each set of equivalent atoms:
Hf1 0.185 0.000 0.088 (multiplicity 4)
Hf2 0.185 0.000 0.597 (multiplicity 4)
Sb1 0.053 0.000 0.778 (multiplicity 4)
Sb2 0.096 0.500 0.301 (multiplicity 4)
H1 0.246 0.500 0.121 (multiplicity 4)
H2 0.246 0.500 0.626 (multiplicity 4)



Entry ii
Here is crystalline HfSbH at its relaxed geometry from Alexandria via LeMat-Bulk. Energies are from PBE.

a b c (Å): 14.754 14.754 8.223
angles (deg): 90.00 90.00 90.00
Space group I4_1/a (No. 88, origin choice 2)
One atom of each set of equivalent atoms:
Hf1 0.143 0.466 0.189 (multiplicity 16)
Hf2 0.161 0.067 0.449 (multiplicity 16)
Sb1 0.008 0.421 0.626 (multiplicity 16)
Sb2 0.011 0.100 0.986 (multiplicity 16)
H1 0.135 0.038 0.211 (multiplicity 16)
H2 0.162 0.447 0.431 (multiplicity 16)



Entry iii
Here is crystalline HfSbH at its relaxed geometry from Alexandria via LeMat-Bulk. Energies are from PBE.

a b c (Å): 3.6912 3.6912 8.2138
angles (deg): 90.00 90.00 120.00
Space group P6_3/mmc (No. 194)
One atom of each set of equivalent atoms:
Hf1 0.3333 0.6667 0.2500 (multiplicity 2)
Sb1 0.0000 0.0000 0.0000 (multiplicity 2)
H1 0.3333 0.6667 0.7500 (multiplicity 2)



Entry iv
Here is crystalline HfSbH at its relaxed geometry from Alexandria via LeMat-Bulk. Energies are from PBE.

a b c (Å): 3.7473 3.7473 3.9520
angles (deg): 90.00 90.00 120.00
Space group P-6m2 (No. 187)
One atom of each set of equivalent atoms:
Hf1 0.0000 0.0000 0.0000 (multiplicity 1)
Sb1 0.6667 0.3333 0.5000 (multiplicity 1)
H1 0.3333 0.6667 0.0000 (multiplicity 1)



Computed stability ranking, most favorable first: entry iv, entry iii, entry ii, entry i



Entry i
Here is crystalline Hf2SbH at its relaxed geometry from Alexandria via LeMat-Bulk. Energies are from PBE.

a b c (Å): 8.886 5.361 3.079
angles (deg): 90.00 109.60 90.00
Space group C2/m (No. 12)
One atom of each set of equivalent atoms:
Hf1 0.185 0.000 0.186 (multiplicity 4)
Sb1 0.000 0.500 0.000 (multiplicity 2)
H1 0.000 0.000 0.500 (multiplicity 2)



Entry ii
Here is crystalline Hf2SbH at its relaxed geometry from Alexandria via LeMat-Bulk. Energies are from PBE.

a b c (Å): 3.3667 3.3667 21.1683
angles (deg): 90.00 90.00 120.00
-- So much for the records of crystals --
Conveying concern, someone else posted: “Can you straight up tell him: ‘your daughter will end up bullied. is that the legacy you want her to have on account of your diagnosis?'”
## Calculated crystals from another source follow
Record 1
Below is an optimized crystal structure of KBe2Zn, with properties calculated at the PBE level.

Cell lengths 5.7056, 5.7056, 2.5274 Å; angles 90.00, 90.00, 112.73 degrees
Closest atoms and distances in Å follow each position.
Positions (direct):
K  0.0000  0.0000  0.0000  2 K 2.53
Be  0.0000  0.5000  0.5000  2 Be 2.53
Be  0.5000  0.0000  0.5000  2 Be 2.53
Zn  0.5000  0.5000  0.0000  2 Zn 2.53

=====

Record 2
Below is an optimized crystal structure of Cs2SIBr6, with properties calculated at the PBE level.

Cell lengths 8.2623, 8.2623, 8.2623 Å; angles 122.63, 122.63, 85.50 degrees
Closest atoms and distances in Å follow each position.
Positions (direct):
Cs  0.2500  0.7500  0.5000  12 Br 4.00-4.13
Cs  0.7500  0.2500  0.5000  12 Br 4.00-4.13
S  0.0000  0.0000  0.0000  6 Br 2.52-2.68
I  0.5000  0.5000  0.0000  4 Br 2.93
Br  0.2075  0.2075  0.0000  1 S 2.52
Br  0.2385  0.2385  0.4771  1 S 2.68, 1 I 2.93
Br  0.2385  0.7615  0.0000  1 S 2.68, 1 I 2.93
Br  0.7615  0.2385  0.0000  1 S 2.68, 1 I 2.93
Br  0.7615  0.7615  0.5229  1 S 2.68, 1 I 2.93
Br  0.7925  0.7925  0.0000  1 S 2.52

=====

Record 3
Below is an optimized crystal structure of Zn3CuNi3, with properties calculated at the PBE level.

Cell lengths 5.8859, 5.8859, 5.2415 Å; angles 90.00, 90.00, 90.67 degrees
Closest atoms and distances in Å follow each position.
Positions (direct):
Zn  0.0000  0.0000  0.2491  4 Ni 2.48-2.49, 2 Zn 2.61-2.63
Zn  0.0000  0.0000  0.7509  4 Ni 2.48-2.49, 2 Zn 2.61-2.63
Zn  0.0000  0.5000  0.2472  6 Ni 2.44-2.59, 2 Cu 2.58, 2 Zn 2.59-2.65
Zn  0.0000  0.5000  0.7528  6 Ni 2.44-2.59, 2 Cu 2.58, 2 Zn 2.59-2.65
Zn  0.5000  0.0000  0.2472  6 Ni 2.44-2.59, 2 Cu 2.58, 2 Zn 2.59-2.65
Zn  0.5000  0.0000  0.7528  6 Ni 2.44-2.59, 2 Cu 2.58, 2 Zn 2.59-2.65
Cu  0.3380  0.3380  0.5000  4 Ni 2.47-2.62, 4 Zn 2.58, 1 Cu 2.68
Cu  0.6620  0.6620  0.5000  4 Ni 2.47-2.62, 4 Zn 2.58, 1 Cu 2.68
Ni  0.2512  0.7488  0.0000  6 Zn 2.44-2.48, 4 Ni 2.44-2.62
Ni  0.2520  0.7480  0.5000  6 Zn 2.46-2.49, 2 Cu 2.47, 2 Ni 2.62
Ni  0.3459  0.3459  0.0000  3 Ni 2.44-2.55, 4 Zn 2.59, 2 Cu 2.62
Ni  0.6541  0.6541  0.0000  3 Ni 2.44-2.55, 4 Zn 2.59, 2 Cu 2.62
Ni  0.7480  0.2520  0.5000  6 Zn 2.46-2.49, 2 Cu 2.47, 2 Ni 2.62
Ni  0.7488  0.2512  0.0000  6 Zn 2.44-2.48, 4 Ni 2.44-2.62

=====

Number 1: final energy -5.511 eV for the cell shown. Number 2: final energy -24.482 eV for the cell shown. Number 3: final energy -50.939 eV for the cell shown.
## The calculated crystals stop here
Another Reddit user advised negotiation, recommending a balanced approach: “Tell your sister that names are a “2 yes, 1 no” situation. Maybe they can compromise with Vivian/Vivianne/Vivienne?”
The original poster responded by noting their own suggestion: “Yeah I suggested Viv/Vyv/Vivian. He seems to insist on Vyvanse. I haven’t had a kid so I really don’t know how it works, I imagine if two parents disagree on the name then like, a court might decide on a more sane name? Idk.”